# Material
No. 1
DFT (ωB97M-V/def2-TZVPD) results for a molecular structure, C25H33AsCl3GeNaOSi.

E_tot = -7192.93448 a.u.
Kohn-Sham gap = 0.259 Eh
F_max = 0.1 eV Å⁻¹

Cartesian coordinates (Å):
Na (-0.31504, -0.39535, -1.62873)
Ge (0.12879, -0.50730, 1.87259)
C (1.95280, -0.62315, 2.67010)
C (2.46675, 0.54794, 3.23255)
C (3.73854, 0.59376, 3.79054)
C (4.54045, -0.53818, 3.77926)
C (4.05235, -1.71378, 3.22596)
C (2.77229, -1.75447, 2.68826)
C (-1.02368, -1.24127, 3.33038)
C (-2.39676, -1.37815, 3.11671)
C (-3.23313, -1.88527, 4.10140)
C (-2.70972, -2.25433, 5.33274)
C (-1.34866, -2.11795, 5.56517)
C (-0.51452, -1.62183, 4.57136)
H (-0.95338, 1.08076, 0.30022)
H (1.86190, 1.45067, 3.23823)
H (4.10351, 1.51525, 4.22879)
H (5.53622, -0.50692, 4.20290)
H (4.66710, -2.60548, 3.21808)
H (2.41663, -2.69687, 2.28582)
H (-2.82384, -1.09384, 2.16014)
H (-4.29372, -1.99133, 3.90798)
H (-3.35843, -2.64760, 6.10511)
H (-0.93193, -2.40513, 6.52297)
H (0.54837, -1.53481, 4.76693)
C (3.20460, 2.16589, -2.82604)
As (2.23693, 1.20062, -1.42910)
C (3.75752, 0.31054, -0.59568)
C (1.91640, 2.66623, -0.13889)
C (3.08998, 3.55784, 0.10919)
C (3.25983, 4.73344, -0.62013)
C (4.36372, 5.54781, -0.41465)
C (5.32000, 5.20018, 0.52902)
C (5.15828, 4.03603, 1.26694)
C (4.05342, 3.22354, 1.05952)
H (4.04239, 2.71842, -2.40267)
H (2.53733, 2.85961, -3.33674)
H (3.57593, 1.44329, -3.55219)
H (4.57999, 1.00995, -0.44982)
H (4.08072, -0.50244, -1.24514)
H (3.45668, -0.11179, 0.36377)
H (1.58703, 2.16409, 0.77331)
H (1.06367, 3.22369, -0.52881)
H (2.51382, 5.01401, -1.35556)
H (4.47537, 6.45788, -0.99025)
H (6.18086, 5.83515, 0.69260)
H (5.89405, 3.75916, 2.01166)
H (3.93120, 2.31930, 1.64378)
C (-3.06268, 2.33024, -1.80297)
C (-2.49852, 2.12616, -0.40762)
C (-3.47053, 1.34724, 0.46953)
C (-2.13410, 3.45831, 0.23584)
O (-1.29373, 1.35632, -0.58135)
H (-3.96530, 2.94052, -1.76582)
H (-3.32011, 1.36975, -2.25407)
H (-2.33162, 2.83412, -2.43733)
H (-4.41148, 1.88940, 0.57560)
H (-3.05049, 1.19392, 1.46571)
H (-3.67823, 0.36989, 0.03000)
H (-3.02317, 4.07317, 0.38415)
H (-1.43387, 4.00670, -0.39609)
H (-1.66646, 3.29306, 1.20846)
Cl (0.12648, -4.48591, 1.44121)
Si (0.07787, -2.58078, 0.65743)
Cl (1.47218, -2.60492, -0.94527)
Cl (-1.72992, -2.54290, -0.47949)

Cartesian forces, eV/Å:
0.1 0.1 0.1
0.0 0.0 0.0
0.0 0.0 0.0
0.0 0.0 0.0
0.0 0.0 0.0
0.0 0.0 0.0
0.0 0.0 0.0
0.0 0.0 0.0
0.0 0.0 0.0
0.0 0.0 0.0
0.0 0.0 0.0
0.0 0.0 0.0
0.0 0.0 0.0
0.0 0.0 0.0
0.0 0.0 0.0
0.0 0.0 0.0
0.0 0.0 0.0
0.0 0.0 0.0
0.0 0.0 0.0
0.0 0.0 0.0
0.0 0.0 0.0
0.0 0.0 0.0
0.0 0.0 0.0
0.0 0.0 0.0
0.0 0.0 0.0
0.0 0.0 0.0
0.0 0.0 0.0
0.0 0.0 0.0
0.0 0.0 0.0
0.0 0.0 0.0
0.0 0.0 0.0
0.0 0.0 0.0
0.0 0.0 0.0
0.0 0.0 0.0
0.0 0.0 0.0
0.0 0.0 0.0
0.0 0.0 0.0
0.0 0.0 0.0
0.0 0.0 0.0
0.0 0.0 0.0
0.0 0.0 0.0
0.0 0.0 0.0
0.0 0.0 0.0
0.0 0.0 0.0
0.0 0.0 0.0
0.0 0.0 0.0
0.0 0.0 0.0
0.0 0.0 0.0
0.0 0.0 0.0
0.0 0.0 0.0
0.0 0.0 0.0
0.0 0.0 0.0
-0.1 0.0 -0.1
0.0 0.0 0.0
0.0 0.0 0.0
0.0 0.0 0.0
0.0 0.0 0.0
0.0 0.0 0.0
0.0 0.0 0.0
0.0 0.0 0.0
0.0 0.0 0.0
0.0 0.0 0.0
0.0 0.0 0.0
0.0 0.0 0.0
0.0 0.0 0.0
0.0 0.0 0.0

Electronic structure analysis, Löwdin charges in units of e:
1. Na 0.13
2. Ge 0.85
3. C -0.42
4. C -0.16
5. C -0.11
6. C -0.09
7. C -0.09
8. C -0.14
9. C -0.41
10. C -0.15
11. C -0.09
12. C -0.10
13. C -0.09
14. C -0.11
15. H -0.05
16. H 0.09
17. H 0.10
18. H 0.10
19. H 0.10
20. H 0.06
21. H 0.07
22. H 0.10
23. H 0.10
24. H 0.10
25. H 0.09
26. C -0.32
27. As 1.16
28. C -0.30
29. C -0.33
30. C -0.31
31. C -0.07
32. C -0.09
33. C -0.10
34. C -0.08
35. C -0.06
36. H 0.02
37. H 0.02
38. H 0.02
39. H 0.03
40. H 0.02
41. H 0.00
42. H 0.04
43. H 0.06
44. H 0.11
45. H 0.10
46. H 0.10
47. H 0.10
48. H 0.09
49. C -0.03
50. C -0.66
51. C -0.03
52. C -0.03
53. O -0.19
54. H 0.09
55. H 0.09
56. H 0.09
57. H 0.09
58. H 0.08
59. H 0.08
60. H 0.09
61. H 0.08
62. H 0.09
63. Cl 0.25
64. Si -0.62
65. Cl 0.22
66. Cl 0.23

No. 2
DFT (ωB97M-V/def2-TZVPD) results for a molecular structure, C25H33Cl3CrN6OSi.

<S²> = 3.986
# Work order
Could you repeat the material earlier on from the first line to the one with "54." without altering anything?
# Here it is
No. 1
DFT (ωB97M-V/def2-TZVPD) results for a molecular structure, C25H33AsCl3GeNaOSi.

E_tot = -7192.93448 a.u.
Kohn-Sham gap = 0.259 Eh
F_max = 0.1 eV Å⁻¹

Cartesian coordinates (Å):
Na (-0.31504, -0.39535, -1.62873)
Ge (0.12879, -0.50730, 1.87259)
C (1.95280, -0.62315, 2.67010)
C (2.46675, 0.54794, 3.23255)
C (3.73854, 0.59376, 3.79054)
C (4.54045, -0.53818, 3.77926)
C (4.05235, -1.71378, 3.22596)
C (2.77229, -1.75447, 2.68826)
C (-1.02368, -1.24127, 3.33038)
C (-2.39676, -1.37815, 3.11671)
C (-3.23313, -1.88527, 4.10140)
C (-2.70972, -2.25433, 5.33274)
C (-1.34866, -2.11795, 5.56517)
C (-0.51452, -1.62183, 4.57136)
H (-0.95338, 1.08076, 0.30022)
H (1.86190, 1.45067, 3.23823)
H (4.10351, 1.51525, 4.22879)
H (5.53622, -0.50692, 4.20290)
H (4.66710, -2.60548, 3.21808)
H (2.41663, -2.69687, 2.28582)
H (-2.82384, -1.09384, 2.16014)
H (-4.29372, -1.99133, 3.90798)
H (-3.35843, -2.64760, 6.10511)
H (-0.93193, -2.40513, 6.52297)
H (0.54837, -1.53481, 4.76693)
C (3.20460, 2.16589, -2.82604)
As (2.23693, 1.20062, -1.42910)
C (3.75752, 0.31054, -0.59568)
C (1.91640, 2.66623, -0.13889)
C (3.08998, 3.55784, 0.10919)
C (3.25983, 4.73344, -0.62013)
C (4.36372, 5.54781, -0.41465)
C (5.32000, 5.20018, 0.52902)
C (5.15828, 4.03603, 1.26694)
C (4.05342, 3.22354, 1.05952)
H (4.04239, 2.71842, -2.40267)
H (2.53733, 2.85961, -3.33674)
H (3.57593, 1.44329, -3.55219)
H (4.57999, 1.00995, -0.44982)
H (4.08072, -0.50244, -1.24514)
H (3.45668, -0.11179, 0.36377)
H (1.58703, 2.16409, 0.77331)
H (1.06367, 3.22369, -0.52881)
H (2.51382, 5.01401, -1.35556)
H (4.47537, 6.45788, -0.99025)
H (6.18086, 5.83515, 0.69260)
H (5.89405, 3.75916, 2.01166)
H (3.93120, 2.31930, 1.64378)
C (-3.06268, 2.33024, -1.80297)
C (-2.49852, 2.12616, -0.40762)
C (-3.47053, 1.34724, 0.46953)
C (-2.13410, 3.45831, 0.23584)
O (-1.29373, 1.35632, -0.58135)
H (-3.96530, 2.94052, -1.76582)
H (-3.32011, 1.36975, -2.25407)
H (-2.33162, 2.83412, -2.43733)
H (-4.41148, 1.88940, 0.57560)
H (-3.05049, 1.19392, 1.46571)
H (-3.67823, 0.36989, 0.03000)
H (-3.02317, 4.07317, 0.38415)
H (-1.43387, 4.00670, -0.39609)
H (-1.66646, 3.29306, 1.20846)
Cl (0.12648, -4.48591, 1.44121)
Si (0.07787, -2.58078, 0.65743)
Cl (1.47218, -2.60492, -0.94527)
Cl (-1.72992, -2.54290, -0.47949)

Cartesian forces, eV/Å:
0.1 0.1 0.1
0.0 0.0 0.0
0.0 0.0 0.0
0.0 0.0 0.0
0.0 0.0 0.0
0.0 0.0 0.0
0.0 0.0 0.0
0.0 0.0 0.0
0.0 0.0 0.0
0.0 0.0 0.0
0.0 0.0 0.0
0.0 0.0 0.0
0.0 0.0 0.0
0.0 0.0 0.0
0.0 0.0 0.0
0.0 0.0 0.0
0.0 0.0 0.0
0.0 0.0 0.0
0.0 0.0 0.0
0.0 0.0 0.0
0.0 0.0 0.0
0.0 0.0 0.0
0.0 0.0 0.0
0.0 0.0 0.0
0.0 0.0 0.0
0.0 0.0 0.0
0.0 0.0 0.0
0.0 0.0 0.0
0.0 0.0 0.0
0.0 0.0 0.0
0.0 0.0 0.0
0.0 0.0 0.0
0.0 0.0 0.0
0.0 0.0 0.0
0.0 0.0 0.0
0.0 0.0 0.0
0.0 0.0 0.0
0.0 0.0 0.0
0.0 0.0 0.0
0.0 0.0 0.0
0.0 0.0 0.0
0.0 0.0 0.0
0.0 0.0 0.0
0.0 0.0 0.0
0.0 0.0 0.0
0.0 0.0 0.0
0.0 0.0 0.0
0.0 0.0 0.0
0.0 0.0 0.0
0.0 0.0 0.0
0.0 0.0 0.0
0.0 0.0 0.0
-0.1 0.0 -0.1
0.0 0.0 0.0
0.0 0.0 0.0
0.0 0.0 0.0
0.0 0.0 0.0
0.0 0.0 0.0
0.0 0.0 0.0
0.0 0.0 0.0
0.0 0.0 0.0
0.0 0.0 0.0
0.0 0.0 0.0
0.0 0.0 0.0
0.0 0.0 0.0
0.0 0.0 0.0

Electronic structure analysis, Löwdin charges in units of e:
1. Na 0.13
2. Ge 0.85
3. C -0.42
4. C -0.16
5. C -0.11
6. C -0.09
7. C -0.09
8. C -0.14
9. C -0.41
10. C -0.15
11. C -0.09
12. C -0.10
13. C -0.09
14. C -0.11
15. H -0.05
16. H 0.09
17. H 0.10
18. H 0.10
19. H 0.10
20. H 0.06
21. H 0.07
22. H 0.10
23. H 0.10
24. H 0.10
25. H 0.09
26. C -0.32
27. As 1.16
28. C -0.30
29. C -0.33
30. C -0.31
31. C -0.07
32. C -0.09
33. C -0.10
34. C -0.08
35. C -0.06
36. H 0.02
37. H 0.02
38. H 0.02
39. H 0.03
40. H 0.02
41. H 0.00
42. H 0.04
43. H 0.06
44. H 0.11
45. H 0.10
46. H 0.10
47. H 0.10
48. H 0.09
49. C -0.03
50. C -0.66
51. C -0.03
52. C -0.03
53. O -0.19
54. H 0.09